## Wanted
Could you reproduce the whole of the listing further down character by character?

## Excerpt
- - -
Here is 2 unconnected molecules or ions with the total composition C9H14 in a non-equilibrium geometry from OMol25. Energies are from ωB97M-V/def2-TZVPD.

* gap between HOMO and LUMO: 10.08 eV
* HOMO level: -9.05 eV
* relative energy (zero: lowest compared OMol25 entry of this formula, charge and spin): 44.6 kJ/mol
* LUMO energy: 0.03765 Ha
* structure (SMILES): Cc1ccccc1.CC

Each line ends with the natural charge from an NBO analysis.
CARTESIAN COORDINATES (ANGSTROEM)
H (4.27446, -0.53580, 0.66163)  0.216
C (-3.66332, 0.05111, 2.16576)  -0.617
C (3.83358, -1.12368, -0.14954)  -0.628
H (-2.71325, 0.21418, 2.67827)  0.207
H (-2.64393, 0.76893, 0.27031)  0.210
H (-0.68809, 1.22972, -1.86322)  0.213
H (1.32405, -2.25781, -0.48196)  0.210
H (-3.83263, -0.47246, 0.13212)  0.202
C (2.48928, 0.91406, -0.68781)  -0.211
H (3.38620, 1.51638, -0.59872)  0.208
C (-3.59953, 0.43894, 0.68297)  -0.623
H (3.66391, -2.11494, 0.27356)  0.213
H (-4.35721, 0.70909, 2.68327)  0.208
H (1.30111, 2.59298, -1.38995)  0.211
C (2.51215, -0.46303, -0.46432)  -0.014
H (-4.27435, 1.22190, 0.33391)  0.206
C (0.19786, -0.55686, -1.15328)  -0.200
H (-3.88347, -1.00004, 2.31547)  0.207
C (1.35358, -1.19652, -0.68769)  -0.220
C (1.34724, 1.54696, -1.12732)  -0.204
H (-0.73085, -1.10819, -1.23644)  0.210
H (4.52184, -1.19033, -0.98610)  0.223
C (0.18138, 0.81540, -1.37091)  -0.227

Forces on atoms 1 to 2 (eV/Å):
H 0.395 -0.110 -0.216
C 0.700 1.045 0.128

***

Here is 2 unconnected molecules or ions with the total composition C9H14 in a non-equilibrium geometry from OMol25. Energies are from ωB97M-V/def2-TZVPD.

* gap between HOMO and LUMO: 9.83 eV
* HOMO level: -8.84 eV
* relative energy (zero: lowest compared OMol25 entry of this formula, charge and spin): 197.0 kJ/mol
* LUMO energy: 0.03654 Ha
* structure (SMILES): Cc1ccccc1.CC

Each line ends with the natural charge from an NBO analysis.
CARTESIAN COORDINATES (ANGSTROEM)
H (2.20653, 0.34621, -2.68908)  0.193
H (0.63607, 1.68026, -1.45620)  0.218
H (1.23687, -1.00512, -2.71652)  0.201
C (-0.37336, 0.11453, 2.35595)  -0.179
H (-1.72909, -1.53270, 2.74297)  0.209
H (0.80603, 1.71850, 1.54771)  0.221
C (0.07184, 0.96633, 1.30311)  -0.243
H (1.79939, -0.15924, -1.23888)  0.202
H (3.69280, -1.54857, -2.88921)  0.210
C (2.03907, -0.57555, -2.17307)  -0.602
H (3.85555, -1.04692, -1.18751)  0.198
H (-2.68621, -1.85771, 0.71381)  0.217
C (-2.07871, -0.91330, 0.84785)  -0.186
H (-1.16359, 1.67380, -1.76829)  0.196
H (2.77167, -2.26638, -1.40262)  0.210
H (0.21308, 0.14257, 3.23881)  0.210
H (-2.29803, 0.24565, -1.16001)  0.225
C (-0.34079, 1.84847, -1.00608)  -0.634
C (-1.39739, -0.77297, 2.08504)  -0.248
C (-0.71560, 0.87808, 0.13400)  0.011
C (-1.91553, 0.07610, -0.11532)  -0.234
C (3.21193, -1.50305, -1.91203)  -0.611
H (-0.34984, 2.89781, -0.85173)  0.216

Forces on atoms 1 to 2 (eV/Å):
H 1.002 0.484 -0.930
H -0.086 -0.486 -0.032

***

Here is 2 unconnected molecules or ions with the total composition C9H14 in a non-equilibrium geometry from OMol25. Energies are from ωB97M-V/def2-TZVPD.

* gap between HOMO and LUMO: 10.07 eV
* HOMO level: -9.03 eV
* relative energy (zero: lowest compared OMol25 entry of this formula, charge and spin): 45.0 kJ/mol
* LUMO energy: 0.03825 Ha
* structure (SMILES): Cc1ccccc1.CC

Each line ends with the natural charge from an NBO analysis.
CARTESIAN COORDINATES (ANGSTROEM)
H (1.32476, -1.30391, -1.76409)  0.212
H (-3.48493, 2.05536, -1.40294)  0.197
H (3.46456, -0.02604, 0.98732)  0.217
H (-0.82411, -0.44576, 2.61999)  0.212
H (-1.14199, -1.36695, -1.57564)  0.214
C (0.84588, -1.05337, -0.82746)  -0.220
C (-1.15322, -0.95208, 0.52315)  -0.241
C (-0.39344, -0.67602, 1.65584)  -0.188
C (0.99368, -0.62117, 1.52858)  -0.220
H (-3.01907, 2.92870, -0.02859)  0.205
C (-0.54255, -1.13549, -0.70384)  -0.205
C (-1.38304, 2.63104, -1.42053)  -0.607
C (3.11907, -0.80736, 0.30802)  -0.635
H (-1.00845, 1.80414, -2.02125)  0.204
C (-2.66287, 2.14238, -0.69478)  -0.615
- - -

## Worked solution
Here is 2 unconnected molecules or ions with the total composition C9H14 in a non-equilibrium geometry from OMol25. Energies are from ωB97M-V/def2-TZVPD.

* gap between HOMO and LUMO: 10.08 eV
* HOMO level: -9.05 eV
* relative energy (zero: lowest compared OMol25 entry of this formula, charge and spin): 44.6 kJ/mol
* LUMO energy: 0.03765 Ha
* structure (SMILES): Cc1ccccc1.CC

Each line ends with the natural charge from an NBO analysis.
CARTESIAN COORDINATES (ANGSTROEM)
H (4.27446, -0.53580, 0.66163)  0.216
C (-3.66332, 0.05111, 2.16576)  -0.617
C (3.83358, -1.12368, -0.14954)  -0.628
H (-2.71325, 0.21418, 2.67827)  0.207
H (-2.64393, 0.76893, 0.27031)  0.210
H (-0.68809, 1.22972, -1.86322)  0.213
H (1.32405, -2.25781, -0.48196)  0.210
H (-3.83263, -0.47246, 0.13212)  0.202
C (2.48928, 0.91406, -0.68781)  -0.211
H (3.38620, 1.51638, -0.59872)  0.208
C (-3.59953, 0.43894, 0.68297)  -0.623
H (3.66391, -2.11494, 0.27356)  0.213
H (-4.35721, 0.70909, 2.68327)  0.208
H (1.30111, 2.59298, -1.38995)  0.211
C (2.51215, -0.46303, -0.46432)  -0.014
H (-4.27435, 1.22190, 0.33391)  0.206
C (0.19786, -0.55686, -1.15328)  -0.200
H (-3.88347, -1.00004, 2.31547)  0.207
C (1.35358, -1.19652, -0.68769)  -0.220
C (1.34724, 1.54696, -1.12732)  -0.204
H (-0.73085, -1.10819, -1.23644)  0.210
H (4.52184, -1.19033, -0.98610)  0.223
C (0.18138, 0.81540, -1.37091)  -0.227

Forces on atoms 1 to 2 (eV/Å):
H 0.395 -0.110 -0.216
C 0.700 1.045 0.128

***

Here is 2 unconnected molecules or ions with the total composition C9H14 in a non-equilibrium geometry from OMol25. Energies are from ωB97M-V/def2-TZVPD.

* gap between HOMO and LUMO: 9.83 eV
* HOMO level: -8.84 eV
* relative energy (zero: lowest compared OMol25 entry of this formula, charge and spin): 197.0 kJ/mol
* LUMO energy: 0.03654 Ha
* structure (SMILES): Cc1ccccc1.CC

Each line ends with the natural charge from an NBO analysis.
CARTESIAN COORDINATES (ANGSTROEM)
H (2.20653, 0.34621, -2.68908)  0.193
H (0.63607, 1.68026, -1.45620)  0.218
H (1.23687, -1.00512, -2.71652)  0.201
C (-0.37336, 0.11453, 2.35595)  -0.179
H (-1.72909, -1.53270, 2.74297)  0.209
H (0.80603, 1.71850, 1.54771)  0.221
C (0.07184, 0.96633, 1.30311)  -0.243
H (1.79939, -0.15924, -1.23888)  0.202
H (3.69280, -1.54857, -2.88921)  0.210
C (2.03907, -0.57555, -2.17307)  -0.602
H (3.85555, -1.04692, -1.18751)  0.198
H (-2.68621, -1.85771, 0.71381)  0.217
C (-2.07871, -0.91330, 0.84785)  -0.186
H (-1.16359, 1.67380, -1.76829)  0.196
H (2.77167, -2.26638, -1.40262)  0.210
H (0.21308, 0.14257, 3.23881)  0.210
H (-2.29803, 0.24565, -1.16001)  0.225
C (-0.34079, 1.84847, -1.00608)  -0.634
C (-1.39739, -0.77297, 2.08504)  -0.248
C (-0.71560, 0.87808, 0.13400)  0.011
C (-1.91553, 0.07610, -0.11532)  -0.234
C (3.21193, -1.50305, -1.91203)  -0.611
H (-0.34984, 2.89781, -0.85173)  0.216

Forces on atoms 1 to 2 (eV/Å):
H 1.002 0.484 -0.930
H -0.086 -0.486 -0.032

***

Here is 2 unconnected molecules or ions with the total composition C9H14 in a non-equilibrium geometry from OMol25. Energies are from ωB97M-V/def2-TZVPD.

* gap between HOMO and LUMO: 10.07 eV
* HOMO level: -9.03 eV
* relative energy (zero: lowest compared OMol25 entry of this formula, charge and spin): 45.0 kJ/mol
* LUMO energy: 0.03825 Ha
* structure (SMILES): Cc1ccccc1.CC

Each line ends with the natural charge from an NBO analysis.
CARTESIAN COORDINATES (ANGSTROEM)
H (1.32476, -1.30391, -1.76409)  0.212
H (-3.48493, 2.05536, -1.40294)  0.197
H (3.46456, -0.02604, 0.98732)  0.217
H (-0.82411, -0.44576, 2.61999)  0.212
H (-1.14199, -1.36695, -1.57564)  0.214
C (0.84588, -1.05337, -0.82746)  -0.220
C (-1.15322, -0.95208, 0.52315)  -0.241
C (-0.39344, -0.67602, 1.65584)  -0.188
C (0.99368, -0.62117, 1.52858)  -0.220
H (-3.01907, 2.92870, -0.02859)  0.205
C (-0.54255, -1.13549, -0.70384)  -0.205
C (-1.38304, 2.63104, -1.42053)  -0.607
C (3.11907, -0.80736, 0.30802)  -0.635
H (-1.00845, 1.80414, -2.02125)  0.204
C (-2.66287, 2.14238, -0.69478)  -0.615